Listing
=====
Record 1
{"formula": "C26H23BClI2N6O3Re", "method": "the ωB97M-V functional and the def2-TZVPD basis", "total_charge": 1, "orbital_gap_ev": [5.4431, 6.0203], "multiplicity": 2, "homo_energy_ha": [-0.3844, -0.3860], "e_lumo_ha": [-0.18439, -0.16473], "symbols": ["Re", "I", "C", "C", "C", "I", "C", "O", "C", "C", "N", "C", "C", "C", "C", "C", "C", "N", "C", "H", "H", "H", "H", "H", "H", "H", "H", "H", "H", "H", "B", "N", "C", "C", "C", "N", "N", "C", "C", "C", "N", "H", "H", "H", "H", "H", "H", "H", "H", "Cl", "C", "C", "C", "C", "O", "C", "C", "O", "C", "H", "H", "H", "H"], "xyz": [[-0.45, 0.17, -0.58], [0.07, 2.71, 6.71], [-0.13, 2.42, 4.63], [0.31, 3.40, 3.75], [0.17, 3.18, 2.40], [0.82, 4.61, 1.01], [-0.38, 1.99, 1.87], [-0.41, 1.84, 0.59], [-0.87, 1.03, 2.81], [-1.67, -0.16, 2.34], [-1.02, -1.05, 1.35], [-0.01, -1.94, 1.94], [1.26, -1.20, 2.25], [2.16, -1.65, 3.21], [3.30, -0.90, 3.46], [3.49, 0.28, 2.74], [2.55, 0.63, 1.78], [1.47, -0.10, 1.55], [-0.73, 1.26, 4.16], [0.75, 4.32, 4.11], [-1.98, -0.74, 3.21], [-2.58, 0.24, 1.86], [-1.76, -1.66, 1.01], [-0.39, -2.43, 2.84], [0.21, -2.72, 1.20], [1.98, -2.57, 3.74], [4.02, -1.21, 4.19], [4.34, 0.91, 2.93], [2.67, 1.52, 1.18], [-1.11, 0.54, 4.87], [1.96, 2.21, -2.14], [2.28, 0.73, -1.89], [3.38, 0.10, -2.28], [3.36, -1.20, -1.78], [2.17, -1.26, -1.07], [1.54, -0.08, -1.15], [0.48, 2.33, -2.53], [-0.02, 3.30, -3.30], [-1.39, 3.11, -3.42], [-1.65, 1.97, -2.68], [-0.51, 1.52, -2.15], [2.15, 2.83, -1.14], [2.62, 2.61, -3.04], [4.12, 0.58, -2.89], [4.09, -1.96, -1.91], [1.74, -2.10, -0.56], [0.62, 4.06, -3.71], [-2.10, 3.71, -3.96], [-2.59, 1.48, -2.51], [-4.77, -4.70, -4.16], [-3.56, -3.75, -3.39], [-2.21, -4.05, -3.62], [-1.23, -3.31, -3.02], [-1.55, -2.21, -2.18], [-0.57, -1.55, -1.67], [-2.93, -1.91, -1.94], [-3.36, -0.83, -1.12], [-2.68, 0.02, -0.53], [-3.91, -2.71, -2.56], [-1.94, -4.88, -4.27], [-0.19, -3.52, -3.18], [-4.45, -0.76, -0.98], [-4.96, -2.50, -2.39]]}


Record 2
=====

Job
Write out the whole of the contents further above unchanged, please.

Reply
Record 1
{"formula": "C26H23BClI2N6O3Re", "method": "the ωB97M-V functional and the def2-TZVPD basis", "total_charge": 1, "orbital_gap_ev": [5.4431, 6.0203], "multiplicity": 2, "homo_energy_ha": [-0.3844, -0.3860], "e_lumo_ha": [-0.18439, -0.16473], "symbols": ["Re", "I", "C", "C", "C", "I", "C", "O", "C", "C", "N", "C", "C", "C", "C", "C", "C", "N", "C", "H", "H", "H", "H", "H", "H", "H", "H", "H", "H", "H", "B", "N", "C", "C", "C", "N", "N", "C", "C", "C", "N", "H", "H", "H", "H", "H", "H", "H", "H", "Cl", "C", "C", "C", "C", "O", "C", "C", "O", "C", "H", "H", "H", "H"], "xyz": [[-0.45, 0.17, -0.58], [0.07, 2.71, 6.71], [-0.13, 2.42, 4.63], [0.31, 3.40, 3.75], [0.17, 3.18, 2.40], [0.82, 4.61, 1.01], [-0.38, 1.99, 1.87], [-0.41, 1.84, 0.59], [-0.87, 1.03, 2.81], [-1.67, -0.16, 2.34], [-1.02, -1.05, 1.35], [-0.01, -1.94, 1.94], [1.26, -1.20, 2.25], [2.16, -1.65, 3.21], [3.30, -0.90, 3.46], [3.49, 0.28, 2.74], [2.55, 0.63, 1.78], [1.47, -0.10, 1.55], [-0.73, 1.26, 4.16], [0.75, 4.32, 4.11], [-1.98, -0.74, 3.21], [-2.58, 0.24, 1.86], [-1.76, -1.66, 1.01], [-0.39, -2.43, 2.84], [0.21, -2.72, 1.20], [1.98, -2.57, 3.74], [4.02, -1.21, 4.19], [4.34, 0.91, 2.93], [2.67, 1.52, 1.18], [-1.11, 0.54, 4.87], [1.96, 2.21, -2.14], [2.28, 0.73, -1.89], [3.38, 0.10, -2.28], [3.36, -1.20, -1.78], [2.17, -1.26, -1.07], [1.54, -0.08, -1.15], [0.48, 2.33, -2.53], [-0.02, 3.30, -3.30], [-1.39, 3.11, -3.42], [-1.65, 1.97, -2.68], [-0.51, 1.52, -2.15], [2.15, 2.83, -1.14], [2.62, 2.61, -3.04], [4.12, 0.58, -2.89], [4.09, -1.96, -1.91], [1.74, -2.10, -0.56], [0.62, 4.06, -3.71], [-2.10, 3.71, -3.96], [-2.59, 1.48, -2.51], [-4.77, -4.70, -4.16], [-3.56, -3.75, -3.39], [-2.21, -4.05, -3.62], [-1.23, -3.31, -3.02], [-1.55, -2.21, -2.18], [-0.57, -1.55, -1.67], [-2.93, -1.91, -1.94], [-3.36, -0.83, -1.12], [-2.68, 0.02, -0.53], [-3.91, -2.71, -2.56], [-1.94, -4.88, -4.27], [-0.19, -3.52, -3.18], [-4.45, -0.76, -0.98], [-4.96, -2.50, -2.39]]}


Record 2